Count elements in else statement

I have a ps script (in a est environment with fake user names!) that adds random users to a security group if they´re NOT already in that group. Now I want to count the successfully added users (lines with “added to testEx”) in each iteration…

adding 5 users to testEx

tfeichtner Truman Feichtner added to testEx

bfigeroa Figeroa Bernardo added to testEx

fsaylors Saylors Fatima already in testEx

mrhymes Micaela Rhymes added to testEx

mlayous Ma Layous added to testEx

0 users have been added to testEx

The last line should read “4 users have been added to testEx”.

I already tried different variations of count and measure, to no avail… any ideas???

btw, this is the code:

$adUsers = Get-ADUser -Filter {enabled -eq $True} -SearchBase $ouPath | Select-Object -Property SamAccountName,Name | Get-Random -Count $rCount

ForEach ($adUser in $adUsers) {

$user = Get-ADGroupMember -Identity $secGroupName | Where-Object {$ -eq $adUser}
$saName = $adUser.SamAccountName
$saNamePad = ($adUser.SamAccountName.PadRight(15))
$uNamePad = ($adUser.Name.PadRight(20))

# check if user already member of security group "testEx"
# Retrieve AD user group membership
   $ExistingGroups = Get-ADPrincipalGroupMembership $adUser.SamAccountName | Select-Object Name
		If ($ExistingGroups.Name -eq $secGroupName) {
		Write-Host $saNamePad $uNamePad " `t already in" $secGroupName -ForeGroundColor Yellow
		Else {
# add random users to secGroup
			$uCount = $(Add-ADGroupMember -Identity $secGroupName -Members $saName | Measure).Count
			Write-Host $saNamePad $uNamePad -NoNewLine -ForegroundColor Cyan; Write-Host " `t added to" $secGroupName -ForeGroundColor Green

# count added users
$uCountPad = "$uCount".PadLeft(3)
Write-Host $uCountPad " users have been added to" $secGroupName

Welcome to the forum. :wave:t4:

**Someone pasted materials data at this point:**
........
Record 1
# Hg2BiI2
Calculated powder diffraction line list, Cu Kα (λ = 1.5418 Å). Input: a GGA-PBE-relaxed structure.
Neutral-atom scattering factors, no anomalous dispersion.

Largest 8 diffraction maxima, in order of falling intensity, 15 to 90 degrees two-theta:
2θ (°), I (rel.), hkl
24.34, 100, 2 0 1
27.12, 76, 0 1 2
27.83, 67, 0 2 -1
34.54, 38, 2 1 3
23.56, 27, 2 1 1
42.41, 26, 2 -2 2
40.43, 23, 0 1 -3
38.02, 20, 0 3 1

Cell and atoms:
a = 7.694 Å, b = 7.770 Å, c = 8.095 Å
α = 78.99°, β = 62.16°, γ = 71.96°
Space group P-1 (No. 2)
Inequivalent atoms, fractional coordinates:
Hg 0.115 0.103 0.189 [2 per cell]
Hg 0.357 0.280 0.646 [2 per cell]
Bi 0.212 0.431 0.993 [2 per cell]
I 0.109 0.746 0.349 [2 per cell]
I 0.426 0.808 0.733 [2 per cell]

---

Record 2
# ErCd2In2Ag2
Calculated powder diffraction line list, Cu Kα (λ = 1.5418 Å). Input: a GGA-PBE-relaxed structure.
Neutral-atom scattering factors, no anomalous dispersion.

Largest 8 diffraction maxima, in order of falling intensity, 15 to 90 degrees two-theta:
2θ (°), I (rel.), hkl
33.96, 100, 1 1 2
35.99, 86, 3 1 -1
38.84, 38, 0 2 0
38.26, 29, 2 0 -3
44.51, 25, 4 0 1
55.66, 19, 2 2 -3
60.53, 18, 4 2 1
68.47, 14, 3 3 -1

Cell and atoms:
a = 9.095 Å, b = 4.637 Å, c = 7.528 Å
α = 90.00°, β = 100.79°, γ = 90.00°
Space group C2/m (No. 12)
Inequivalent atoms, fractional coordinates:
Er 0.000 0.000 0.000 [2 per cell]
Cd 0.087 0.500 0.702 [4 per cell]
In 0.210 0.500 0.191 [4 per cell]
Ag 0.129 0.000 0.421 [4 per cell]

---

Record 3
# Cs4Nd3TiS8
Calculated powder diffraction line list, Cu Kα (λ = 1.5418 Å). Input: a GGA-PBE-relaxed structure.
Neutral-atom scattering factors, no anomalous dispersion.

Largest 8 diffraction maxima, in order of falling intensity, 15 to 90 degrees two-theta:
2θ (°), I (rel.), hkl
29.00, 100, 0 2 4
25.97, 48, 2 0 2
39.00, 36, 2 0 8
43.82, 33, 2 2 0
22.05, 29, 0 0 6
49.58, 22, 2 2 6
45.25, 18, 0 2 10
53.41, 17, 4 0 4

Cell and atoms:
a = 8.2635 Å, b = 8.2635 Å, c = 24.1882 Å
α = 90.00°, β = 90.00°, γ = 120.00°
Space group R-3m (No. 166, hexagonal axes)
Inequivalent atoms, fractional coordinates:
Cs 0.0000 0.0000 0.0000 [3 per cell]
Cs 0.0000 0.5000 0.0000 [9 per cell]
Nd 0.0000 0.5000 0.5000 [9 per cell]
Ti 0.0000 0.0000 0.5000 [3 per cell]
S 0.0000 0.0000 0.2303 [6 per cell]
S 0.0260 0.5130 0.2262 [18 per cell]

---

Record 4
# NaNb2SnRh
Calculated powder diffraction line list, Cu Kα (λ = 1.5418 Å). Input: a GGA-PBE-relaxed structure.
Neutral-atom scattering factors, no anomalous dispersion.

Largest 8 diffraction maxima, in order of falling intensity, 15 to 90 degrees two-theta:
2θ (°), I (rel.), hkl
33.43, 100, 1 1 1
38.38, 43, 2 0 0
56.35, 28, 2 0 2
66.28, 27, 3 1 1
39.62, 20, 0 0 2
55.40, 15, 2 2 0
70.24, 14, 2 2 2
67.97, 13, 1 1 3

Cell and atoms:
a = 4.691 Å, b = 4.691 Å, c = 4.549 Å
α = 90.00°, β = 90.00°, γ = 90.00°
Space group P4/mmm (No. 123)
Inequivalent atoms, fractional coordinates:
Na 0.000 0.000 0.000 [1 per cell]
Nb 0.000 0.500 0.000 [2 per cell]
........

That sounds like a weird task. :thinking: Is it for practicing purposes? :wink:

May I suggest another approach? After collecting a random number of users I’d determine wich of these users are not yet in the group. You can easily do this with Compare-Object. This way you have the count you’re after and don’t need to test all users individually if they are already members of the group. :wink:

Hi Olaf,

yeah I know - but it´s real and it will be deployed in a live environment :wink:

Thanks for your suggestion, I will give it a try.

Why not just increment a counter?

Set a var:

$uCount = 0

Then instead of this:

$uCount = $(Add-ADGroupMember -Identity $secGroupName -Members $saName | Measure).Count

Attached: crystal structures:
____________
Structure and theoretical powder diffraction line list of CaV2RhO8 (a DFT-relaxed cell (GGA+U, Alexandria); CuKα).
Neutral-atom scattering factors, no anomalous dispersion.

Atomic structure:
Cell: 5.6212 5.6212 6.3554 Å, 90.00 90.00 120.00°
Fractional positions:
Ca 0.0000 0.0000 0.0000
V 0.3333 0.6667 0.2295
V 0.6667 0.3333 0.7705
Rh 0.0000 0.0000 0.5000
O 0.1578 0.3156 0.3033
O 0.1578 0.8422 0.3033
O 0.3156 0.1578 0.6967
O 0.3333 0.6667 0.9686
O 0.6667 0.3333 0.0314
O 0.6844 0.8422 0.3033
O 0.8422 0.1578 0.6967
O 0.8422 0.6844 0.6967

Most intense lines, 2θ from 10° to 90°, sorted by position:
hkl  2θ (°)  intensity
1 0 0  18.2  47
1 0 1  23.0  100
1 1 0  31.8  66
1 0 2  33.7  48
2 0 2  47.0  34
2 1 1  51.7  20
3 0 0  56.7  11
2 1 2  57.9  23
2 2 0  66.5  14
1 1 4  67.7  13

=====

Calculated PXRD pattern of Ba3Pa2O5F2 for Cu Kα (λ = 1.5418 Å), from a GGA-PBE-relaxed structure.

Structural model:
abc: 4.0565 4.0565 27.4528
angles: 90.00 90.00 90.00
Space group I4/mmm (No. 139)
Symmetry-distinct sites (fractional):
Ba: 0.0000 0.0000 0.0000 x2
Ba: 0.0000 0.0000 0.1859 x4
Pa: 0.0000 0.0000 0.4137 x4
O: 0.0000 0.0000 0.5000 x2
O: 0.0000 0.5000 0.1203 x8
F: 0.0000 0.0000 0.2851 x4

Peak list (10 most intense, 2θ from 5° to 70°, by angle)
d 13.726, 6.44 deg, rel. 23, (0 0 2); d 3.263, 27.34 deg, rel. 100, (1 0 5); d 2.868, 31.18 deg, rel. 47, (1 1 0); d 2.820, 31.74 deg, rel. 24, (1 0 7); d 2.745, 32.62 deg, rel. 13, (0 0 10); d 2.028, 44.68 deg, rel. 23, (2 0 0); d 1.983, 45.75 deg, rel. 18, (1 1 10); d 1.789, 51.07 deg, rel. 14, (1 1 12); d 1.723, 53.17 deg, rel. 33, (2 1 5); d 1.631, 56.40 deg, rel. 11, (2 0 10)

***

Calculated PXRD pattern of Er7MgRu4 for Cu Kα (λ = 1.5418 Å), from a GGA-PBE-relaxed structure.

Structural model:
abc: 13.4709 5.3485 9.6213
angles: 90.00 126.10 90.00
Space group C2/m (No. 12)
Symmetry-distinct sites (fractional):
Er: 0.0000 0.0000 0.0000 x2
Er: 0.0755 0.5000 0.3736 x4
Er: 0.1789 0.0000 0.6303 x4
Er: 0.2158 0.5000 0.8767 x4
Mg: 0.0000 0.5000 0.0000 x2
Ru: 0.0651 0.0000 0.7799 x4
Ru: 0.1968 0.0000 0.3454 x4

Peak list (10 most intense, 2θ from 5° to 70°, by angle)
d 3.498, 25.47 deg, rel. 37, (1 1 -2); d 3.229, 27.62 deg, rel. 32, (4 0 -1); d 2.925, 30.56 deg, rel. 24, (4 0 -3); d 2.726, 32.85 deg, rel. 45, (3 1 -3); d 2.697, 33.21 deg, rel. 31, (1 1 2); d 2.674, 33.51 deg, rel. 100, (0 2 0); d 2.431, 36.98 deg, rel. 100, (3 1 1); d 2.319, 38.84 deg, rel. 75, (5 1 -3); d 2.277, 39.58 deg, rel. 21, (5 1 -1); d 1.493, 62.19 deg, rel. 27, (3 3 1)

***

Calculated PXRD pattern of Hf4Ir5Rh4 for Cu Kα (λ = 1.5418 Å), from a GGA-PBE-relaxed structure.

Structural model:
abc: 10.2306 10.2306 3.9971
angles: 90.00 90.00 90.00
Space group I4/m (No. 87)
Symmetry-distinct sites (fractional):
Hf: 0.1329 0.7713 0.0000 x8
Ir: 0.0000 0.0000 0.0000 x2
Ir: 0.0477 0.1918 0.5000 x8
Rh: 0.0817 0.3924 0.0000 x8

Peak list (10 most intense, 2θ from 5° to 70°, by angle)
____________

Just use:


and change this:

# count added users
$uCountPad = "$uCount".PadLeft(3)
Write-Host $uCountPad " users have been added to" $secGroupName

To this:

# count added users
Write-Host "$uCount users have been added to $secGroupName"

Not tested :slight_smile:

$adUsers = Get-ADUser -Filter "enabled -eq '$True'" -SearchBase $ouPath | Get-Random -Count $rCount

$groupMembers = Get-ADGroupMember -Identity $secGroupName

$inGroup,$notInGroup = $adUsers.Where({$_.distinguishedname -in $groupMembers.distinguishedname},'split')

Add-ADGroupMember -Identity $secGroupName -Members $notInGroup

ForEach ($adUser in $inGroup){
    Write-Host $adUser.SamAccountName.PadRight(15) $adUser.Name.PadRight(20) " `t already in" $secGroupName -ForeGroundColor Yellow

ForEach ($adUser in $notInGroup) {
    Write-Host $adUser.SamAccountName.PadRight(15) $adUser.Name.PadRight(20) -NoNewLine -ForegroundColor Cyan
    Write-Host " `t added to" $secGroupName -ForeGroundColor Green

$uCount = @($notInGroup).Count
Write-Host "$uCount".PadLeft(3) " users have been added to" $secGroupName

thank you guys, you both gave me the necessary hint…
I didn´t know the approach from krzydoug (still learning I am), and resolved it this way:

			Add-ADGroupMember -Identity $secGroupName -Members $saName
			Write-Host $saNamePad $uNamePad -NoNewLine -ForegroundColor Cyan; 
                            Write-Host " `t added to" $secGroupName -ForeGroundColor Green
			$Count = $Null


count added users

$uCountPad = “$Counter”.PadLeft(3)
Write-Host $uCountPad -NoNewLine -ForegroundColor Cyan; Write-Host " users have been added to" $secGroupName